The Sick & Twisted Murder of Georgia Williams: His Fantasy Snuff Film

Miss Spooks
11 min readSep 5, 2022

A detective’s daughter would be lured to her death by a close trusted friend, not knowing about his sadistic and sinister plan to rape and murder her on camera. If he wasn’t caught, he definitely would’ve struck again, becoming a dangerous threat to society, and possibly even becoming a serial killer.

Georgia Williams

Georgia Williams was a 17 year old girl who was born on September 17th, 1995, in Telford, Shropshire, England. She had an older sister named Scarlett and they were raised by their parents Lynette and Steve Williams. Georgia was a very energetic, outgoing, loving, caring, charming and family oriented person. She loved helping people and really cared about others, and was just a very friendly person. Georgia was bullied in middle school, but once she started high school that completely changed. She endup making a lot of friends, was popular and very well-liked, and even became head girl of that high school. She started training as an air cadet while in high school and had dreams of becoming a RAF Paramedic. When she turned 17, she got a job at a petrol station in her town and made friends very easily with her co-workers. There was one man at the store who seemed very awkward and shy and seemed to be left out of everything, so since Georgia was so kind and caring, she be-friended him and became very close with him, and he started participating in the group activities with their co-workers. This man was 22 year old Jamie Reynolds.

Jamie began to develop feelings for Georgia and told her about how much he liked her and asked her out on dates a few times, stating that he really wanted to be her boyfriend. Georgia was very considerate of his feelings and turned him down in the most polite ways that she could, and just explained to him that she wasn’t looking for a boyfriend and didn’t want to ruin their friendship. Jamie was upset that she didn’t feel the same way as him, but seemed to have respected her wishes and moved past it and stayed good friends. Or at least that’s what it looked like, but deep down inside of him began an extremely unhealthy obsession and a dark and twisted fantasy.

When Jamie turned 23, he expressed to Georgia that he was really unhappy working at the petrol station and he wanted a new full-time job, something that he actually likes to do. Georgia sat down with Jamie and discussed with him about what his hobbies were and what kinds of things he was really passionate about, and he told her he was really into photography, so Georgia told him that she thinks he should try taking that up as a career instead. Jamie really liked the idea and asked her if she could help him create a professional portfolio and asked if she could be his first model, and like the amazing friend she was, she agreed to it. The two booked their photoshoot for Sunday, May 26th, 2013. The plan was for her and a bunch of other people to come over to his parents house and have a massive photoshoot. Georgia almost canceled at the last minute since her family was having a BBQ, and her grandparents were gonna be there and she really wanted to see them. However, she thought that since he only lived about five minutes away from her, she’d just go and get it done really quickly and then get back to her family. She got ready, did her hair and makeup, put on jeans and a leather jacket and took off. The last words her father would ever say to his daughter was that she looked beautiful, and that she looked like Sandy from Greece.

Georgia is Missing

Georgia left her home at 7:30 and her family was expecting her back relatively soon, but it was three hours later and she had still not returned home. At first her mom didn’t really think anything of it, and just assumed she was having a good time and lost track of time, so she sent her a text asking when the photo shoot would be over. She did end up getting a text back from Georgia, stating that the photo-shoot ended a while ago and that she’s just been hanging out with her friends, and she probably won’t be home until late. Her mom didn’t think anything suspicious of it, as her text ended in three kissy face emojis like they normally did, and Georgia wasn’t the type of person to get into trouble. Her parents went to bed and when they woke up the next morning, Georgia still wasn’t home. Her mother texted her again around 6:30 asking her where she’s been and when she’s gonna be home. She didn’t receive a response back until 7:30 where she was told that she had stayed over at a friend’s house and her phone battery was dying, so if she didn’t send another text after this, that would be why. What Georgia’s mother didn’t know was that she wasn’t getting these texts from her daughter… She was getting them from someone else pretending to be her.

It was May 27th and her parents knew she had a music festival to go to that day, so when she didn’t return home all day they just assumed she went straight to the festival from her friends house. They did at least expect her to be home by the next morning, as she had her first driving lesson that day, and they knew she was really excited about learning how to drive, and she wouldn’t want to miss her lesson. Her parents waited up for her very late on Monday evening, but she still wasn’t home. They called up relatives and her friends, but no one has seen or talked to her in days. When Georgia didn’t return home the next morning for her driving lesson, she was reported missing to the police. They tried to give as much information to the police as they could, but all they really knew was that she was attending a photo-shoot at Jamie Reynolds home and they had no idea where she was or who she was with after that. So the police did all they could do at the time, and looked into Jamie Reynolds, and what they found out about him was quite disturbing.

The Sickening Murder

In 2008, Jamie was caught by the police attempting to strangle a teenage girl. The police didn’t arrest him, and he wasn’t charged with anything. The police quite literally gave him a warning and sent him on his way. This poor teenage girl’s attacker was allowed to leave with no repercussions, which is absolutely outrageous. Once they found out about this, the police went to his house to question him as he was now a suspect. They knocked on the door but had no answer, and ended up kicking the door in. They looked around the house but there was no sign of anyone, so a manhunt for Jamie began. They checked the petrol station and none of their co-workers had seen or heard from them, and they both missed their shifts, which was extremely unusual. His parents were also contacted, but they were on vacation at the time, and gave the police the registration of the van that he drove. The police in Shropshire notified police all over the UK to be on the lookout for that van. Jamie was finally found in Glasgow, Scotland, 208 miles from where he lived. He literally left the country, which was a big red flag. The Glasgow police arrested him but couldn’t really ask him anything as this wasn’t their case. When they asked him where Georgia was, he told them he didn’t know, and he was transported back to Shropshire. As he was being transported back for questioning her family was told that the outcome wasn’t looking good, which of course devastated her entire family.

Record 1
# LaPuZr2

An optimized crystal structure of LaPuZr2 (PBE, the Alexandria database).

Lattice parameters (Å, degrees): 3.8356 3.8356 7.3221 90.00 90.00 90.00
Last column: nearest neighbours and their distance in Å.
Space group P4/mmm (No. 123)
Inequivalent atoms, fractional coordinates:
1 La 0.0000 0.0000 0.0000  8 Zr 3.46, 2 Pu 3.66, 4 La 3.84
2 Pu 0.0000 0.0000 0.5000  8 Zr 3.10
3 Zr 0.5000 0.5000 0.2944  1 Zr 3.01, 4 Pu 3.10

Results
Uncorrected energy (eV/atom): -8.8795


Record 2
# RbLa4

An optimized crystal structure of RbLa4 (PBE, the Alexandria database).

Lattice parameters (Å, degrees): 5.8618 5.8618 5.8618 90.00 90.00 90.00
Last column: nearest neighbours and their distance in Å.
Space group Pm-3m (No. 221)
Inequivalent atoms, fractional coordinates:
1 Rb 0.0000 0.0000 0.0000  6 La 2.93
2 La 0.0000 0.0000 0.5000  2 Rb 2.93
3 La 0.5000 0.5000 0.5000  12 La 4.14

Results
Uncorrected energy (eV/atom): -3.2170


Record 3
# RbLaRe3

An optimized crystal structure of RbLaRe3 (PBE, the Alexandria database).

Lattice parameters (Å, degrees): 4.8410 4.8410 4.8410 90.00 90.00 90.00
Last column: nearest neighbours and their distance in Å.
Space group Pm-3m (No. 221)
Inequivalent atoms, fractional coordinates:
1 Rb 0.0000 0.0000 0.0000  6 Re 2.42
2 La 0.5000 0.5000 0.5000  12 Re 3.42
3 Re 0.0000 0.0000 0.5000  2 Rb 2.42

Results
Energy relative to the lowest polymorph listed for this composition (eV/f.u.): 1.43
Uncorrected energy (eV/atom): -5.3672

Now that they had the prime suspect in custody the police were able to do a proper search of his home, and they ended up finding a camera with an SD card inside. However, all of the files have been deleted. The camera was then taken back to the police station to recover the files, and that’s when they were finally able to confirm everything that happened. On that camera there were photos of Georgia before, during, and after her murder. The first couple of photos were normal photos of Georgia when she first started the photo-shoot. The photos then turned into pictures of her naked on the bed, clearly in distress, with a noose tied around her neck. In one picture she was seen grinning at the camera with the noose around her neck, and then right after that she was shown dead, hanging from the landing on the house. If that wasn’t bad enough, Jamie then took hundreds of photos of her in all types of positions, placing her in different areas of the house. He then repeatedly had sex with her corpse in different areas of the house, including on his parents bed, which he also took photos of. He also removed her jewelry and kept them as “trophies.”

The police continued to search his home and found 16,800 photos and 72 videos of extremely violent porn, such as rape videos, snuff films of people being tortured and murdered, everything that Jamie was performing himself. Jamie was quite literally trying to make his own snuff film. His parents came home early from vacation so they could speak with the police, and they told them that he had been watching these kinds of extremely violent pornorgaphy since he was 14 years old. It could be possible that he was watching it earlier than that, but that’s when they caught him. Since they couldn’t take away his laptop due to needing it for school, they contacted their internet provider and had them block his access to all of these websites. However, at 14, he called up the internet provider himself and paid for his own private Wi-Fi that his parents wouldn’t know about, so he could continue accessing these websites. Jamie was secretly accessing these videos and paying for it himself for almost ten years. When his parents first caught him watching these videos, they became concerned and notified the police and CPS, but they couldn’t really do anything about it since watching those kinds of videos wasn’t illegal.

During the rest of the search the police found notepads that had 40 different stories written by Jamie all about torturing, raping, and murdering women. He had also drawn pictures of women being strangled and hung, and even printed out pictures of women he knew personally and drew on those as well. There was also one story written about Georgia called, “Georgia Williams in Surprise.” This story was exactly what happened to Georgia, and police believe that this story was a plan all from the beginning. He wrote out this story so he could make it into a reality. He began writing it in January, and finished it just three weeks before the murder took place.

Finding The Body and Sentencing

Jamie was refusing to tell the police anything about where he put her body, and was acting like he was completely innocent, even though everyone knew that he was guilty. Since he refused to tell them where her body was, they traced his steps from that Monday morning, the day after he killed her. They started at the petrol station, and he was caught on CCTV getting gas, and at that time Georgia’s body was in the back of that van. After he got his gas he drove 60 miles away to go to the movies, left her body in the van in the parking lot, and went inside to watch a movie. Like I said earlier, he was always asking her to go on dates and wanting to take her to the movies and such, and I guess this was his way of finally getting his way and taking her to the movies. They lost track of him after he left the movies, and a public statement was put out for any to come forward if they noticed that van anywhere, especially between Scotland and Wrexham. Thankfully this worked and people came forward and told the police that they saw a man and that van on a mountain pass located in North Wales. The area he was in was loaded with woods and it was extremely muddy, and the reason people remembered his is due to his van getting stuck, and they actually went over to him to help him get his van out of the mud. Police ended up finding Georgia’s naked body in the woods, and it was recovered and transported back to Shropshire.

The whole time Jamie was maintaining his innocence and insisting he had nothing to do with her murder. However, on the very first day of the trial, something changed his mind and he decided to stand up and plead guilty to everything he was being charged for. The case was closed and the judge called Jamie a “sexual deviant” and stated that he believed he had the potential to become a dangerous serial killer, therefor sentencing him to a whole life term in December of 2013, which means that he will NEVER be allowed to leave prison. He was the 46th person to land themselves a whole life-term, and the youngest in history. The judge, Mr. Justice Wilkie said:

“Georgia would not have died instantly but would have suffered horribly both mentally and physically, knowing she had been betrayed by someone whom she had trusted and into whose power she had given himself. Killing Georgia was an expression of a long-standing, recurrent, preoccupation with violent, sadistic pornography. You enjoyed the spectacle of her final, ghastly minutes as she struggled for life knowing that she was facing death.”

Jamie Reynolds sat there with his head down as Georgia’s parents and sister listened to all the details on how she was lured to her death and what had happened to her while in his possession.

In 2014 Jamie Reynolds put in an appeal against his whole life-sentence and lost. His lawyer stated that his guilty plea should’ve been given more weight during his sentencing, and The Court of Appeal ruled that there was “no basis on which it can properly be argued that a whole-life order was not required.” However, in 2015 a serious case review was critical of police authorities, social services staff and mental health workers over how they handled Jamie Reynolds in the years before the murder. The review claimed that these agencies failed to work together when notified of his attempts to strangle another teenage girl to death in 2008, giving him a warning and turning their backs on him completely. One mental health nurse that visited him after this happened stated that he was a “significant risk” to others after his parents showed her pictures that he drew of school girls with nooses drawn around their necks. Meanwhile, nothing was done about it. The serious case review concluded that the approach to the case had been “confusing and uncoordinated.”

Georgia’s parents stated that they cried after reading about the serious case review and said:

“Having lost Georgia to pure evil, we cried when we read this report and the failings of all agencies involved, because it was so obvious that Reynolds was, if not one already, a murderer in the making. Georgia’s death could have been prevented.”

Jamie Reynolds still remains in prison today.



Miss Spooks

True Crime & Horror Enthusiast! I write about all kinds of true crime cases, horror, mysteries, urban legends, and other spooky things.